Hijab is Power, MuslimGirl’s 100 Years of Hijab

“Hijab is much more than a fad”.

This is how MuslimGirl.com starts their description of their video. Their main goal is to spread an idea that is not familiar in modest fashion industry nowadays. Hijab is not just a fashion trend, nor is it a way to control Muslim women. On the contrary, Hijab is as dynamic as anything else in the community. It gets effected by wars, colonialism, occupation, revolutions, and independence.


Hijab Timeline


The video starts with the 1910’s, in Egypt when Egyptians moved against the British occupation. Women used to wear Black Abayas and headscarf with a while veil on their faces.

-- begin --
Arrangement a

# C3H8S

The molecule C3H8S (ωB97M-V/def2-TZVPD, the OMol25 dataset).

Geometry (Å):
C1 -0.633 0.729 -0.757
C2 0.907 0.767 -1.058
H1 0.559 -1.991 1.390
H2 -1.275 1.002 -1.588
H3 1.239 1.691 -1.501
H4 -1.126 1.376 0.074
S1 -1.197 -0.916 -0.101
H5 1.314 0.404 -0.186
H6 -0.929 -1.741 2.201
H7 1.134 0.162 -1.844
C3 -0.227 -1.161 1.414
H8 0.234 -0.321 1.956

For the highest occupied orbital energy, the calculation gives -8.381 eV. The HOMO-LUMO gap comes out at 9.43 eV. Its spin multiplicity is 1. As for the LUMO energy: 1.1 eV.

Arrangement b

# C3H8S

A cluster of 2 separate species, C3H8S in total (ωB97M-V/def2-TZVPD, the OMol25 dataset).

Geometry (Å):
H1 0.369 1.231 -0.759
H2 0.169 1.400 1.597
H3 0.076 -0.382 1.842
H4 -0.267 -0.647 -1.822
S1 -2.769 0.526 -0.090
C1 0.381 -0.914 -0.977
C2 -0.062 0.443 1.143
H5 -0.327 -1.493 -0.371
H6 1.175 -1.567 -1.323
H7 1.738 0.582 -0.015
H8 -1.170 0.453 0.967
C3 0.687 0.369 -0.189

For the highest occupied orbital energy, the calculation gives -9.472 eV. The HOMO-LUMO gap comes out at 6.60 eV. Its spin multiplicity is 1. As for the LUMO energy: -2.9 eV.

Which structure is most stable? arrangement a, by 239.0 kJ/mol over the runner-up.

Arrangement a

# C7H7NS

A cluster of 2 separate species, C7H7NS in total (ωB97M-V/def2-TZVPD, the OMol25 dataset).

Geometry (Å):
C1 -1.614 1.015 0.106
N1 0.073 -2.720 0.669
C2 -0.684 1.419 -0.931
C3 0.351 0.492 -0.550
C4 1.225 -3.006 0.909
C5 -2.459 1.573 0.939
H1 -0.366 -1.734 0.746
C6 -0.781 -0.221 -0.023
H2 -0.873 1.754 -1.934
H3 2.151 -0.601 -0.392
H4 2.359 1.206 -0.659
S1 2.621 -3.541 1.207
H5 -2.701 1.036 1.928
H6 -2.836 2.703 0.931
H7 1.816 0.286 -2.025
C7 1.717 0.338 -0.923

For the highest occupied orbital energy, the calculation gives -8.854 eV. The HOMO-LUMO gap comes out at 8.52 eV. Its spin multiplicity is 1. As for the LUMO energy: -0.3 eV.

Arrangement b

# C7H7NS

The molecule C7H7NS (ωB97M-V/def2-TZVPD, the OMol25 dataset).

Geometry (Å):
S1 1.657 0.753 2.111
H1 0.508 -1.948 -0.639
H2 2.403 -1.167 1.317
C1 -1.796 0.050 0.271
C2 -1.547 0.020 -1.164
H3 1.614 0.853 -0.765
H4 -2.605 0.056 -1.763
N1 2.260 -0.285 0.866
H5 -0.313 2.107 2.415
C3 0.657 -0.907 -0.950
C4 -0.906 0.541 1.077
H6 -2.682 -0.526 0.579
H7 -0.349 -0.370 -2.904
C5 1.535 -0.123 -0.314
C6 -0.421 -0.402 -1.780
C7 -0.016 1.347 1.644

For the highest occupied orbital energy, the calculation gives -8.054 eV. The HOMO-LUMO gap comes out at 8.56 eV. Its spin multiplicity is 1. As for the LUMO energy: 0.5 eV.

Which structure is most stable? arrangement b, by 96.5 kJ/mol over the runner-up.

Arrangement a

# C9H12NO

A cluster of 2 separate species, C9H12NO in total (ωB97M-V/def2-TZVPD, the OMol25 dataset).

Geometry (Å):
C1 -0.217 -1.067 -1.779
N1 -0.566 -0.469 -0.614
H1 2.932 -0.038 -1.405
C2 0.155 0.280 0.013
C3 -1.108 -1.956 -2.595
H2 -2.259 -3.582 -1.230
H3 -0.329 -2.718 -3.045
H4 1.851 1.369 0.569
H5 1.865 2.725 3.273
H6 1.143 2.577 4.784
H7 0.857 4.079 3.877
C4 1.910 0.016 -1.231
-- stop --

1920’s Kurdistan 

1930’s Palestine was a nationalist uprising by Palestinian Arabs in Mandatory Palestine against the British administration of the Palestine Mandate, demanding Arab independence and the end of Jewish immigration.


Then it moves to the 1940’s, when Pakistan gained it independence from the British occupation. It is obvious in the video how women Hijab was loose and emerges their faces.

1940’s Algeria 

1960’s Yemen


Later on, during the 1970’s, the Iranian revolution started. Although their Hijab was totally black, we can easily tell the spirit women had back then because of the model’s body and facial gestures. We can see anger, strength and persistence.

1980’s Lebanon


The 1990’s, was a time of directorship in Pakistan. The Taliban gained power and made wearing burka obligatory for women. Women were forced to cover their faces and wear very loose abayas, not for religious reasons, rather political ones. The less power the citizens had, the less change they could make.

_Records of molecules, kept here for reference_
=====
Computed, not measured: a structure of composition C17H15ClIN3ORh at a distorted geometry, with ωB97M-V/def2-TZVPD.

Computed properties:
Frontier orbital gap   5.5 eV
Strongest force on any atom   4.21 eV/A
Total energy   -1764.47854 Ha
Lowest unoccupied orbital energy   -4.722 eV
Net charge   +1

Structure (XYZ):
```
39
Properties=species:S:1:pos:R:3:forces:R:3:nbo_charge:R:1
C -1.164742 -2.617847 0.892011 -0.008 -0.039 0.081 -0.031
C 2.417255 2.131284 2.161354 -0.583 -0.550 -0.565 -0.247
H -0.439279 1.193114 -5.100361 0.035 0.030 0.027 0.220
H -4.470034 -2.548986 0.137394 -0.004 0.012 0.010 0.251
C 1.181076 -2.884268 1.338906 -0.143 -0.189 0.042 -0.270
C -1.995286 -0.274177 0.728103 -0.310 -1.061 -0.167 0.370
H -0.379967 2.567987 3.919751 -0.076 -0.120 -0.099 0.269
I -4.780466 0.556531 0.034151 0.030 -0.160 0.016 0.196
C -2.466409 -3.078757 0.593499 -0.147 0.344 -0.026 -0.091
C 1.688928 -0.084518 -4.044351 0.049 -0.172 -0.005 -0.396
N 0.594422 0.627775 -3.378855 0.274 -0.023 -0.214 -0.443
C 0.419473 2.569871 3.195734 -0.555 -0.286 -0.547 -0.232
C 1.295190 -1.492440 1.423444 0.125 0.222 0.118 0.067
C 0.562623 3.489307 2.121632 -0.186 0.297 -0.619 -0.301
H -0.083255 4.326361 1.913210 0.007 -0.001 0.001 0.273
N 0.915463 1.317680 -1.046449 -1.020 0.264 0.557 -0.504
C 1.808851 3.213535 1.485765 -0.687 0.333 -0.276 -0.218
Rh 0.291025 1.525590 0.975245 2.253 -1.694 3.131 1.007
H -1.297604 1.516771 -3.586477 0.027 -0.015 0.040 0.234
H 1.461768 -1.147792 -4.135641 -0.040 0.025 0.003 0.214
C -0.043281 -3.448795 1.084684 0.190 0.155 0.040 -0.102
C -0.659799 0.806446 -4.106568 -0.234 0.074 -0.026 -0.398
O -1.747691 0.994904 0.752761 1.194 1.617 -0.014 -0.688
C -3.254933 -0.804388 0.434377 0.404 0.755 0.041 -0.254
H 2.255354 3.807118 0.704044 -0.060 -0.118 -0.118 0.267
C 0.730366 0.989278 -2.141528 0.084 -0.066 0.178 0.622
H -1.188751 -0.142200 -4.205945 0.044 -0.016 0.042 0.216
H 1.761742 0.971224 3.947963 -0.081 -0.116 -0.102 0.257
H 3.393874 1.721775 1.955251 -0.074 -0.081 -0.118 0.258
Cl -2.783775 -4.770230 0.490102 -0.001 -0.186 -0.012 0.031
H 1.832904 0.335642 -5.038398 -0.016 0.040 0.022 0.222
H -0.154736 -4.522260 1.020885 -0.017 -0.001 -0.011 0.246
C 1.559422 1.741731 3.219405 -0.304 -0.066 -0.456 -0.154
C -0.954533 -1.221180 0.979523 -0.546 0.101 -0.125 0.060
H 2.607111 0.035358 -3.475193 -0.018 0.018 0.010 0.225
C -3.481038 -2.180215 0.373432 0.120 -0.371 0.056 -0.207
H 2.058725 -3.499400 1.476004 0.010 0.032 0.033 0.241
H 2.249542 -1.028100 1.636378 -0.007 0.013 -0.071 0.207
N 0.260468 -0.693730 1.264759 0.270 0.997 -0.876 -0.418
```
Forces are in eV/Å.

Computed, not measured: a structure of composition C17H15F21N5O21S7Zn2 at a distorted geometry, with ωB97M-V/def2-TZVPD.

Computed properties:
Frontier orbital gap   7.6 eV
Strongest force on any atom   4.14 eV/A
Total energy   -10954.01962 Ha
Lowest unoccupied orbital energy   4.922 eV
=====
_Back to the page_

2000’s, The war on Iraq started. During the video, we can notice the message the model wants to deliver to us. The Iraqi women were effected by the American culture arriving to them from occupation. What is attractive about it, other than the taboo sign, is that she used their culture against them but they did not succeed in changing hers. Since the way she holds her Hijab can represent how she holds onto it.

Finally, the Arab Spring 2010’s. Since 2010 the revolutions against the Arab government started from Tunis moving to Egypt, Libya and Syria. The Video shows a Syrian Activist lady with flames in her eyes and a need to rebel and change. She wears her Hijab in a way that will not be a burden, still, however, she holds onto it.


This is only the first part of the video, MuslimGirl is generous enough to provide us with more and more of this masterpiece!